What to do >
Your job: echo the rows below from the line with "(1.568, 3.544," to the end verbatim.

Listing >
********
Density functional theory data (ωB97M-V/def2-TZVPD) for a 14-piece molecular cluster, C91H201N9O14S5 overall.

## Properties
- Orbital gap: 8.133 eV
- HOMO energy: -7.83 eV

Each line ends with the Mulliken charge.
Geometry (Å):
C (-0.855, 1.592, 6.537)  -0.12
S (-0.192, 2.496, 8.028)  0.48
O (-1.511, 3.286, 8.468)  -0.65
C (-0.223, 0.954, 9.149)  -0.92
H (-0.838, 2.408, 5.815)  0.26
H (-1.776, 1.064, 6.784)  0.15
H (-0.115, 0.832, 6.285)  -0.09
H (-1.184, 0.439, 9.179)  0.28
H (-0.129, 1.345, 10.162)  0.43
H (0.461, 0.127, 8.963)  0.28
C (3.045, -6.813, 1.062)  -0.61
S (2.242, -7.474, -0.538)  0.48
O (1.697, -8.927, -0.102)  -0.68
C (0.783, -6.327, -0.665)  -0.72
H (2.437, -6.361, 1.845)  0.32
H (3.742, -6.014, 0.812)  -0.05
H (3.688, -7.632, 1.387)  0.41
H (1.098, -5.332, -0.980)  0.03
H (-0.047, -6.387, 0.039)  0.43
H (0.401, -6.646, -1.634)  0.38
C (1.095, -4.914, -5.270)  -0.95
S (0.967, -3.484, -6.352)  0.81
O (0.941, -4.154, -7.714)  -0.75
C (-0.712, -3.053, -5.919)  -0.44
H (1.395, -5.842, -5.758)  0.45
H (0.195, -5.185, -4.718)  0.29
H (1.726, -4.642, -4.424)  0.16
H (-1.267, -3.972, -6.105)  0.62
H (-1.110, -2.232, -6.516)  0.31
H (-0.889, -2.796, -4.874)  -0.24
C (0.428, 6.188, -4.160)  -0.91
S (1.018, 5.204, -2.641)  0.98
O (2.505, 5.526, -2.443)  -0.75
C (0.161, 6.392, -1.424)  -0.72
H (1.245, 6.859, -4.426)  0.41
H (-0.429, 6.847, -4.024)  0.34
H (0.276, 5.470, -4.966)  0.11
H (0.285, 6.094, -0.383)  -0.22
H (-0.906, 6.594, -1.518)  0.36
H (0.745, 7.247, -1.765)  0.48
C (5.167, -3.199, -2.725)  -0.93
S (4.853, -4.463, -1.410)  0.94
O (3.787, -5.245, -2.087)  -0.65
C (6.453, -5.331, -1.610)  -1.30
H (5.892, -2.468, -2.368)  0.06
H (4.284, -2.718, -3.145)  0.27
H (5.555, -3.649, -3.639)  0.51
H (6.432, -6.407, -1.433)  0.47
H (7.363, -5.033, -1.090)  0.35
H (6.927, -5.312, -2.592)  0.41
C (0.723, 6.353, 4.937)  -1.81
C (0.682, 6.789, 3.452)  2.07
C (1.935, 7.618, 3.023)  -1.57
C (3.242, 6.751, 2.755)  -0.78
C (2.884, 5.514, 1.891)  -0.99
C (1.809, 4.627, 2.497)  2.28
N (0.664, 5.470, 2.631)  0.84
O (-0.569, 4.725, 2.834)  -0.19
C (1.568, 3.544, 1.430)  -2.02
C (2.308, 4.001, 3.809)  -1.91
C (-0.559, 7.666, 3.059)  -2.37
H (1.725, 6.563, 5.313)  0.35
H (0.382, 5.347, 5.182)  0.21
H (0.006, 6.955, 5.496)  0.50
H (1.587, 8.323, 2.269)  0.45
H (2.183, 8.186, 3.919)  0.49
H (3.518, 6.414, 3.754)  0.27
H (4.105, 7.304, 2.382)  0.48
H (3.848, 5.077, 1.631)  0.34
H (2.635, 5.823, 0.875)  0.23
H (1.183, 4.034, 0.535)  -0.21
H (2.455, 2.980, 1.140)  0.56
H (0.886, 2.722, 1.647)  0.23
H (2.531, 4.687, 4.626)  0.48
H (1.655, 3.145, 3.979)  0.13
H (3.296, 3.590, 3.602)  0.29
H (-1.495, 7.256, 3.439)  0.49
H (-0.613, 7.903, 1.996)  0.42
H (-0.500, 8.625, 3.574)  0.54
H (-1.080, 4.969, 2.059)  0.11
C (-2.282, -1.029, -0.362)  -0.73
C (-0.881, -1.056, -1.024)  2.37
C (-0.698, 0.316, -1.715)  0.62
C (0.738, 0.647, -2.012)  -1.06
C (1.487, 0.542, -0.641)  -0.79
C (1.400, -0.847, 0.061)  2.58
N (0.068, -1.353, 0.050)  1.28
O (-0.099, -2.609, 0.711)  -0.13
C (2.415, -1.863, -0.637)  -2.11
C (1.850, -0.503, 1.499)  -1.89
C (-1.027, -2.210, -2.169)  -1.43
H (-3.058, -0.922, -1.119)  -0.99
H (-2.429, -0.193, 0.322)  0.07
H (-2.531, -1.963, 0.141)  0.32
H (-1.107, 0.258, -2.724)  -0.47
H (-1.108, 1.200, -1.226)  -0.49
H (0.918, 1.478, -2.694)  0.90
H (0.904, -0.316, -2.494)  -0.17
H (1.222, 1.334, 0.059)  -0.61
H (2.538, 0.765, -0.823)  0.59
H (3.452, -1.535, -0.572)  0.40
H (2.470, -2.823, -0.122)  0.42
H (2.183, -1.877, -1.702)  0.10
H (1.581, -1.308, 2.183)  0.55
H (2.929, -0.384, 1.604)  0.08
H (1.437, 0.397, 1.955)  0.22
H (-1.551, -1.778, -3.021)  -0.35
H (-1.427, -3.183, -1.881)  0.40
H (-0.018, -2.574, -2.361)  0.41
H (-0.270, -2.314, 1.608)  0.03
C (6.755, 1.064, -2.454)  -1.77
C (7.482, 0.964, -1.001)  1.62
C (6.553, 1.552, 0.081)  -0.90
C (7.065, 1.245, 1.566)  -1.05
C (7.108, -0.283, 1.720)  -0.24
C (7.956, -0.960, 0.623)  1.85
N (7.487, -0.487, -0.722)  0.79
O (8.043, -1.177, -1.785)  -0.52
C (9.369, -0.677, 0.987)  -1.91
********

Result >
C (1.568, 3.544, 1.430)  -2.02
C (2.308, 4.001, 3.809)  -1.91
C (-0.559, 7.666, 3.059)  -2.37
H (1.725, 6.563, 5.313)  0.35
H (0.382, 5.347, 5.182)  0.21
H (0.006, 6.955, 5.496)  0.50
H (1.587, 8.323, 2.269)  0.45
H (2.183, 8.186, 3.919)  0.49
H (3.518, 6.414, 3.754)  0.27
H (4.105, 7.304, 2.382)  0.48
H (3.848, 5.077, 1.631)  0.34
H (2.635, 5.823, 0.875)  0.23
H (1.183, 4.034, 0.535)  -0.21
H (2.455, 2.980, 1.140)  0.56
H (0.886, 2.722, 1.647)  0.23
H (2.531, 4.687, 4.626)  0.48
H (1.655, 3.145, 3.979)  0.13
H (3.296, 3.590, 3.602)  0.29
H (-1.495, 7.256, 3.439)  0.49
H (-0.613, 7.903, 1.996)  0.42
H (-0.500, 8.625, 3.574)  0.54
H (-1.080, 4.969, 2.059)  0.11
C (-2.282, -1.029, -0.362)  -0.73
C (-0.881, -1.056, -1.024)  2.37
C (-0.698, 0.316, -1.715)  0.62
C (0.738, 0.647, -2.012)  -1.06
C (1.487, 0.542, -0.641)  -0.79
C (1.400, -0.847, 0.061)  2.58
N (0.068, -1.353, 0.050)  1.28
O (-0.099, -2.609, 0.711)  -0.13
C (2.415, -1.863, -0.637)  -2.11
C (1.850, -0.503, 1.499)  -1.89
C (-1.027, -2.210, -2.169)  -1.43
H (-3.058, -0.922, -1.119)  -0.99
H (-2.429, -0.193, 0.322)  0.07
H (-2.531, -1.963, 0.141)  0.32
H (-1.107, 0.258, -2.724)  -0.47
H (-1.108, 1.200, -1.226)  -0.49
H (0.918, 1.478, -2.694)  0.90
H (0.904, -0.316, -2.494)  -0.17
H (1.222, 1.334, 0.059)  -0.61
H (2.538, 0.765, -0.823)  0.59
H (3.452, -1.535, -0.572)  0.40
H (2.470, -2.823, -0.122)  0.42
H (2.183, -1.877, -1.702)  0.10
H (1.581, -1.308, 2.183)  0.55
H (2.929, -0.384, 1.604)  0.08
H (1.437, 0.397, 1.955)  0.22
H (-1.551, -1.778, -3.021)  -0.35
H (-1.427, -3.183, -1.881)  0.40
H (-0.018, -2.574, -2.361)  0.41
H (-0.270, -2.314, 1.608)  0.03
C (6.755, 1.064, -2.454)  -1.77
C (7.482, 0.964, -1.001)  1.62
C (6.553, 1.552, 0.081)  -0.90
C (7.065, 1.245, 1.566)  -1.05
C (7.108, -0.283, 1.720)  -0.24
C (7.956, -0.960, 0.623)  1.85
N (7.487, -0.487, -0.722)  0.79
O (8.043, -1.177, -1.785)  -0.52
C (9.369, -0.677, 0.987)  -1.91